Ascent 2019 in Maroma Beach, Riviera Cancun

The article is interrupted by records of crystals
____________
# 1
# Al2HgB | Alexandria via LeMat-Bulk | PBE | optimized geometry
data_Al2HgB
_chemical_formula_sum 'Al8 Hg4 B4'
_symmetry_space_group_name_H-M 'I -4 2 d'
_symmetry_Int_Tables_number 122
_symmetry_space_group_name_Hall 'I -4 2bw'
_cell_length_a 5.8484
_cell_length_b 5.8484
_cell_length_c 9.6891
_cell_angle_alpha 90.00
_cell_angle_beta 90.00
_cell_angle_gamma 90.00
loop_
_atom_site_label
_atom_site_fract_x
_atom_site_fract_y
_atom_site_fract_z
Al1 0.1302 0.2500 0.1250
Hg1 0.0000 0.0000 0.5000
B1 0.0000 0.0000 0.0000
# - Excess energy over the best structure of this formula in the dataset: 0.0 meV per atom
# - Calculated formation energy: 0.3889 eV/atom

=====

# 2
# AlHgB | Alexandria via LeMat-Bulk | PBE | optimized geometry
data_AlHgB
_chemical_formula_sum 'Al2 Hg2 B2'
_symmetry_space_group_name_H-M 'P 1'
_symmetry_Int_Tables_number 1
_cell_length_a 3.0757
_cell_length_b 3.8164
_cell_length_c 10.1118
_cell_angle_alpha 82.14
_cell_angle_beta 81.48
_cell_angle_gamma 89.99
loop_
_symmetry_equiv_pos_as_xyz
'x,y,z'
loop_
_atom_site_label
_atom_site_fract_x
_atom_site_fract_y
_atom_site_fract_z
Al1 0.0000 0.0000 0.0000
Al2 0.3903 0.7147 0.2252
Hg1 0.1410 0.0545 0.7319
Hg2 0.2655 0.6598 0.4933
B1 0.4448 0.2602 0.1135
B2 0.9456 0.4544 0.1117
# - Calculated formation energy: 0.1182 eV/atom

=====

# 3
# AlHgB | Alexandria via LeMat-Bulk | PBE | optimized geometry
data_AlHgB
_chemical_formula_sum 'Al2 Hg2 B2'
_symmetry_space_group_name_H-M 'P 1'
_symmetry_Int_Tables_number 1
_cell_length_a 3.0568
_cell_length_b 6.1112
_cell_length_c 6.1401
_cell_angle_alpha 65.34
_cell_angle_beta 89.41
_cell_angle_gamma 89.42
loop_
_symmetry_equiv_pos_as_xyz
'x,y,z'
loop_
_atom_site_label
_atom_site_fract_x
_atom_site_fract_y
_atom_site_fract_z
Al1 0.0000 0.0000 0.0000
Al2 0.4913 0.9507 0.6299
Hg1 0.5002 0.4302 0.4418
Hg2 0.9962 0.4844 0.9328
B1 0.4981 0.8713 0.3054
B2 0.9962 0.8790 0.3935
# - Calculated formation energy: 0.2347 eV/atom

=====

# 4
# AlHgB | Alexandria via LeMat-Bulk | PBE | optimized geometry
data_AlHgB
_chemical_formula_sum 'Al2 Hg2 B2'
_symmetry_space_group_name_H-M 'P 1'
_symmetry_Int_Tables_number 1
_cell_length_a 3.5127
_cell_length_b 3.5144
_cell_length_c 9.9906
_cell_angle_alpha 88.24
_cell_angle_beta 89.89
_cell_angle_gamma 60.09
loop_
_symmetry_equiv_pos_as_xyz
'x,y,z'
loop_
_atom_site_label
_atom_site_fract_x
_atom_site_fract_y
_atom_site_fract_z
Al1 0.0000 0.0000 0.0000
Al2 0.3170 0.3686 0.7829
Hg1 0.4094 0.1819 0.5324
Hg2 0.5981 0.7995 0.2835
B1 0.6618 0.6775 0.8997
B2 0.6701 0.6580 0.0656
# - Calculated formation energy: 0.2465 eV/atom

=====

# 5
# AlHgB | Alexandria via LeMat-Bulk | PBE | optimized geometry
data_AlHgB
_chemical_formula_sum 'Al2 Hg2 B2'
_symmetry_space_group_name_H-M 'P -1'
_symmetry_Int_Tables_number 2
_cell_length_a 3.0648
_cell_length_b 3.6228
_cell_length_c 10.0305
_cell_angle_alpha 82.32
_cell_angle_beta 82.51
_cell_angle_gamma 65.51
loop_
_symmetry_equiv_pos_as_xyz
'x,y,z'
'-x,-y,-z'
loop_
_atom_site_label
____________
So much for the records of crystals

After a six-month qualification period that saw our executive leaders provide ASEA wellness products to thousands of customers and seed hundreds of independent businesses along the way, this year’s stellar Ascent class earned and enjoyed four days and four nights together with ASEA corporate leaders at the Secrets Maroma Beach resort in Riviera Cancun.

Watch the ASEA Ascent 2019 Recap Video!

From those able to attend of the nearly 200 qualifying associates, and their guests, Ascent 2019 featured 300 amazing human beings—a 20% increase in amazing human beings from last year’s event! And on the evening of 11 June, they all came together for a welcome reception with ASEA Founder Tyler Norton, CEO Charles Funke, President Jarom Webb, and Vice President of Global Sales Justin Wilson.

The first full day at the resort kicked off with a training meeting featuring presentations from the ASEA Executive Committee. Tyler Norton and Charles Funke packaged and delivered their powerful experience into inspirational take-home messages, while Jarom Webb and Justin Wilson dripped plans for this September’s global convention and trained on the newest and next ASEA associate tools. Our Ambassador Diamonds in attendance next provided tried-and-true tips for reaching the Diamond ranks.

With so much to digest from the day’s big training, the group was more than happy to let it all sink in at their own pace, over a leisurely late afternoon in paradise. And that trend continued all the way through Day 3, as attendees were free to do as they pleased along the sandy beaches and under the palm trees. This was a day to reflect, relax, and adventure in equal measure, mindful of the experiences that follow hard work with the ASEA opportunity.

After taking their fill of peaceful leisure, our group was ready to ramp up their last full day at Ascent! An intense beach olympics competition in the early afternoon provided the perfect opportunity. A relay race, a tug of war, and “rolling the coconut” pitted teams of rising leaders and good friends against one another all in the name of good fun—and working up an appetite for the night’s farewell dinner.

Gathered together on the lawn of the seaside terrace, the Ascent 2019 crew listened to Tyler Norton and Justin Wilson’s expressions of sincere gratitude before taking in a delicious meal and dazzling entertainment from drummers and fire dancers. With fresh and fiery memories bringing the event to a close, each attendee collected their commemorative coin to bring it all home with them.

The winners and participants of Ascent 2019 have all come home with a deepened well of experience and energy, and—just as this year’s top winner, Global Free Store Inc. set her goal for the top prize at the previous year’s event—now is the time for a new set of ASEA leaders to set their sights on an ascent to the top in 2020!